Serving Christ and sharing the Gospel

God’s gift to Simeon and Anna (Lk 2:21-40)

So Mary and Joseph are keeping the Jewish law and doing what is right in their community - they are taking their newborn son to the temple when he is just eight days old to be circumcised and dedicated to God, and I bet that they had no idea what was going to happen when they arrived at the temple. They were just doing what they had been doing up to now - following God directions, by faith. The faith of Mary and Joseph is an example to us all. They had already named Jesus, but this was like registering his name at the temple. For Jewish people even today this is a very important event.

In our Gospel passage today we also meet two elderly people who before they die, Simeon and Anna, want to meet their Messiah. Before they die they want to see God’s promised Saviour – and in today’s passage from Luke’s Gospel their prayers are answered.

As the family come into the Temple, a man called Simeon is moved by the Holy Spirit, our reading tells us that Simeon is a faithful believer, who for his whole life had been waiting for “the consolation of Israel” (v.25). The relief of Israel. For centuries the people of Israel had been waiting for God to send them a Saviour. The people had been waiting over a 1000 years and Simeon had been waiting all his life and many would have doubted whether the Christ would ever come.

But faithful believers, like Simeon and Anna, were still confidently waiting for God to come good on his promises. They were still praying for God to console and rescue his people from all that oppressed them. They were still trusting that God would send his long-awaited Messiah.

So it’s no surprise that Simeon and Anna when convicted by the Holy Spirit were both so happy when they set eyes on Jesus. Seeing Jesus they saw their salvation. Seeing Jesus brought them the comfort and hope that they had been waiting for. The birth of Christ meant that their dogged faith and belief had brought its promised benefits. That’s why Simeon took baby Jesus “in his arms and praised God” (v.28). He now knew that he could now die “in peace” and with great hope for the future of God’s people (v.29).

Someone pasted crystal structures at this point.
+++
Entry 1:
Starting from a cell relaxed with PBE, the powder diffractogram of BeAu2 was computed for Cu Kα (weighted mean of Kα1 and Kα2).
Kinematic intensities with the Lorentz-polarization factor, no thermal factor.

Crystal structure
```
BeAu2
1.0
5.3129 -1.4883 0.0000
5.3129 1.4883 0.0000
-3.8998 0.0000 5.7581
Be Au
2 4
Direct
0.0000 0.0000 0.0000 Be
0.2240 0.2240 0.4431 Be
0.2667 0.2667 0.8146 Au
0.4892 0.4892 0.7021 Au
0.5170 0.5170 0.3142 Au
0.7423 0.7423 0.1905 Au
```

Top 10 peaks for 2θ = 10–90°, by intensity:
31.75°, rel. 100
34.77°, rel. 79
31.06°, rel. 69
37.97°, rel. 68
42.09°, rel. 61
41.04°, rel. 58
39.30°, rel. 48
39.58°, rel. 42
49.12°, rel. 42
50.07°, rel. 30

Entry 2:
Starting from a cell relaxed with PBE, the powder diffractogram of Ca2BeAu7 was computed for Cu Kα (weighted mean of Kα1 and Kα2).
Kinematic intensities with the Lorentz-polarization factor, no thermal factor.

Crystal structure
```
Ca2BeAu7
1.0
3.9311 0.0000 0.0000
0.0000 3.9311 0.0000
0.0000 0.0000 13.5414
Ca Be Au
2 1 7
Direct
0.0000 0.5000 0.2432 Ca
0.5000 0.0000 0.7568 Ca
0.5000 0.5000 0.0000 Be
0.0000 0.0000 0.0000 Au
0.0000 0.0000 0.5000 Au
0.0000 0.5000 0.6572 Au
0.0000 0.5000 0.8595 Au
0.5000 0.0000 0.1405 Au
0.5000 0.0000 0.3428 Au
0.5000 0.5000 0.5000 Au
```

Top 10 peaks for 2θ = 10–90°, by intensity:
34.90°, rel. 100
23.57°, rel. 100
42.06°, rel. 90
40.44°, rel. 56
46.18°, rel. 56
63.04°, rel. 30
82.70°, rel. 27
62.68°, rel. 26
30.15°, rel. 25
52.49°, rel. 25

Entry 3:
Starting from a cell relaxed with PBE, the powder diffractogram of Ca3Be2Au9 was computed for Cu Kα (weighted mean of Kα1 and Kα2).
Kinematic intensities with the Lorentz-polarization factor, no thermal factor.

Crystal structure
```
Ca3Be2Au9
1.0
-2.3654 4.4612 6.5837
2.3654 -4.4612 6.5837
2.3654 4.4612 -6.5837
Ca Be Au
3 2 9
Direct
0.0000 0.0000 0.0000 Ca
0.2774 0.2774 0.0000 Ca
0.7226 0.7226 0.0000 Ca
0.3705 0.5000 0.8705 Be
0.6295 0.5000 0.1295 Be
0.0493 0.3886 0.6606 Au
0.1371 0.8298 0.3073 Au
0.2720 0.6114 0.6606 Au
0.4775 0.1702 0.3073 Au
0.5000 0.0000 0.5000 Au
0.5225 0.8298 0.6927 Au
0.7280 0.3886 0.3394 Au
0.8629 0.1702 0.6927 Au
0.9507 0.6114 0.3394 Au
```

Top 10 peaks for 2θ = 10–90°, by intensity:
21.26°, rel. 100
35.66°, rel. 97
38.04°, rel. 76
39.15°, rel. 72
45.35°, rel. 66
34.36°, rel. 53
33.84°, rel. 43
19.90°, rel. 38
45.50°, rel. 31
35.54°, rel. 31
+++

In his song, Simeon quotes Isaiah 42 and 49, and uses two words that sum up what Jesus had come to bring – namely ‘salvation’ and ‘revelation’. The salvation Jesus brought was forgiveness from sin and hope beyond the grave. And the revelation Jesus brought was a revelation of God. Of God’s character, of God’s grace, of God’s love for His people. Jesus came to replace speculation about God with precise revelation. Jesus said  “I am the Way, the Truth and the Life No one comes to the Father except through me”.

Perhaps the most surprising and brilliant thing to Simeon and Annie would have been that this revelation and salvation is offered to all people. In verse 31 we are told that Jesus will reveal God in the “sight of all people”, and in verse 32 we learn that Jesus is God’s revelation “to the Gentiles” as well as to Jews.

To every nation, not only Israel. Jesus came to be Saviour of the whole world -  from Gidea Park to the ends of the earth Shoeburyness!

No wonder verse 33 tells us that Mary & Joseph “marvelled” at what Simeon said about Jesus. The coming of Christ was great news for Simeon and Anna, and for Christian believers in every generation since. Believing God’s promises does pay-off in the end!

Many of us are looking forward to the coming year, some hoping that Palace escape relegation, some hoping West Ham can get into the top part of the league, some hoping that Arsenal win yet another cup! And many will be hoping and praying that next year is better than the last.

As Christians we also await Christ’s second coming, whenever its going to be. But how should we wait? As individuals and as a Church, what is the right way to wait for Christ’s return? And live our lives as we wait. What lessons can we learn from Simeon and Anna’s example?

The first lesson is the importance of prayer and a close relationship with Jesus. We should commit ourselves to be faithful in prayer and in reading the Bible. The Bible and prayer must be the foundation of our lives as individuals and as a church.

Think about joining one of our Bible study groups or prayer meetings in 2018. The Bible and prayer are essential for our growth in faith, and relationship with God, after all how can you ever have a relationship with someone if you never talk to them.

Simeon and Anna knew this truth well. In our passage we are told that Simeon was a “devout and righteous man”, a man who studied the Scriptures and was prayerfully open to the Holy Spirit’s work in his life.  And Anna too spent her time praying and worshipping God. With our busy lives we may not be able to devote all our time to prayer, but Anna’s behaviour challenges us to give it a higher priority in our lives, to make it a part of our daily routine.

Our passage today also tells us that Simeon and Anna did not wait for Christ on their own. Both of them were members of the worshipping community at the Jerusalem Temple. And the Bible tells Christians to keep meeting together. As we meet together, worship together and hear God’s Word preached together, our common faith and hope will grow. As it says in Hebrews  “Let us not give up meeting together, as some are in the habit of doing, but let us encourage one another.”

As well as prayer, Bible reading and mutual encouragement, there is one final way we should await Christ’s return. Verse 27 today says when Simeon saw Christ he immediately praised God in public. Allowing others to overhear him. And verse 38 tells us that when Anna met the baby Jesus she spoke about him to everyone around her.

We should do the same. Whether it’s over coffee with a friend, in the pub with a friend, or simply round the dinner table at home, we can and must share our faith, our Christian hope. Jesus tells us we are to tell others about him.

How great would it be if God used you and me to bring other people to Christ in 2018! How marvellous if our non-Christian family, friends and colleagues this year came to marvel at Jesus like Mary & Joseph did!  How wonderful if people we know began to praise Jesus in 2018, like Simeon & Anna did 2000 years ago! An easy way is to invite them is to the Alpha course that we are running starting Sunday evenings at 6.30 on the 21st Jan.

God opened the eyes of Simeon and Anna to recognise Jesus as the baby who brought salvation. In 2018, may God use us to open other people’s eyes to Christ.

Let’s pray: Heavenly Father, we praise you for the salvation and revelation that Jesus our marvellous Messiah brings. Lord we pray that you will keep us strong in faith, united in fellowship and intentional in bring other into a relationship with you, so all may know your love and grace. In his name we pray, Amen.